[To do]
The reader should start at the top of the notes underneath and print each line, ending with the one that has "-5.2982".

[Input]
/*
Compound: Li2CdCl4
Source: the Materials Project database
Functional: PBE
Structure: optimized geometry Values from VASP.

Cell and atoms, written as Quantum ESPRESSO input:
```
&SYSTEM
  ibrav = 0, nat = 14, ntyp = 3
/
ATOMIC_SPECIES
Li 6.94 Li.upf
Cd 112.41 Cd.upf
Cl 35.45 Cl.upf
CELL_PARAMETERS angstrom
-3.7916 3.8830 5.2982
3.7916 -3.8830 5.2982
3.7916 3.8830 -5.2982
ATOMIC_POSITIONS crystal
Li 0.0000 0.0000 0.5000
Li 0.0000 0.5000 0.0000
Li 0.3868 0.1368 0.2500
Li 0.6132 0.8632 0.7500
Cd 0.0000 0.5000 0.5000
Cd 0.5000 0.5000 0.0000
Cl 0.2294 0.7460 0.4834
Cl 0.2374 0.2540 0.9834
Cl 0.2438 0.2485 0.5047
Cl 0.2438 0.7391 0.9953
Cl 0.7562 0.2609 0.0047
Cl 0.7562 0.7515 0.4953
Cl 0.7626 0.7460 0.0166
Cl 0.7706 0.2540 0.5166
```

The calculation puts the formation energy at -1852 meV/atom.
*/

[Response]
Compound: Li2CdCl4
Source: the Materials Project database
Functional: PBE
Structure: optimized geometry Values from VASP.

Cell and atoms, written as Quantum ESPRESSO input:
```
&SYSTEM
  ibrav = 0, nat = 14, ntyp = 3
/
ATOMIC_SPECIES
Li 6.94 Li.upf
Cd 112.41 Cd.upf
Cl 35.45 Cl.upf
CELL_PARAMETERS angstrom
-3.7916 3.8830 5.2982
3.7916 -3.8830 5.2982
3.7916 3.8830 -5.2982